I am complaining, and being pretty dramatic, I know.
My point in writing all of this, is that I've realized during the moments of trying to force myself into the "jolly spirit", I've been missing the point of this season. We all know the story of Jesus' birth, and we all know every line (or think we know every line) to Silent Night, O Come All Ye Faithful, and O Holy Night, but that means nothing. I wonder if I will ever fully understand what it was like to actually wait for the Messiah. I wonder if I'll even come close to comprehending the thought of living without a Savior, and then He appears, as a newborn child. I don't think I will ever know exactly what it's like, nor do I think it's meant to be that way for us.
This season is a time of more than presents (praise God), more than picking out a Christmas tree with amazing friends. More than singing carols (in person, or even over the phone), and more than those moments where you wish that one person was there to celebrate this season with you. It's all of those things, but much, much more.
I'm in the middle of a phenomenal book right now. It's called "Bittersweet", by Shauna Niequist. (Mainly to the ladies out there - go buy this book. Seriously, it will change your life. Shauna is amazing). There is a chapter in this book that talks about Christmas, and she absolutely nails it. So, instead of trying to do it myself, I am just going to let you read it.
(These data records were left in the page by mistake)
~~~
NdB4Mo3O12 | PBE with a Hubbard U | optimized geometry

The structure in extended XYZ format:
```
20
Lattice="-4.7433 -2.4757 3.4279 5.1838 -2.1718 2.9649 -0.1115 6.1383 1.6394" Properties=species:S:1:pos:R:3 pbc="T T T"
Nd 0.0000 0.0000 0.0000
B -4.2991 0.6087 4.2242
B 2.2471 4.6185 3.2119
B 2.5454 -2.9911 4.6120
B 0.1645 0.7454 4.0160
Mo -0.2600 -2.3384 3.2188
Mo -2.2033 2.2480 2.4471
Mo 2.7923 1.5813 2.3662
O -0.5716 1.9006 3.8318
O -1.7355 -2.7881 4.7497
O 4.2367 0.8701 3.8261
O -2.0077 4.1543 3.4723
O 3.2512 -1.8198 4.4386
O 0.8746 4.6590 3.3334
O -3.6238 -0.5639 4.4871
O 1.1726 -3.1156 4.6185
O 3.0362 3.4930 3.3156
O -3.7240 1.8196 3.9030
O -0.4794 -0.4520 4.2647
O 1.5444 0.7877 3.9517
```

Summary:
SG: No. 155
Energy, eV/cell: -158.69
M_tot, μB/f.u.: 9.00
~~~
"Gifts, under the tree and otherwise"
This season matters. Christmas is a time when God's presence is more palpable than any other time of the year. It's also a time when what we've lost is more present to us, when the pain or the loneliness or the fear are more present than any other time. It's a glorious, beautiful time and also one in which even the smallest kindnesses can transform us. It's worth more than pushing and rushing and perfecting your decorations or your homemade cookies.
If what it takes for you this year to be present in this sacred, thin place, to feel the breath and presence of a Holy God, is to forgo the cookies and the cards and the rushing and the lists, then we'll be all right with cookies from the store and a few less gifts. It would be a great loss for you to miss this season, the soul of it, because you're too busy pushing and rushing. And it would be a great loss if the people in your life to receive your perfectly wrapped gifts, but not your love or your full attention or your spirit.
This is my prayer for us, that we would give and receive the most important gifts this season-- the palpable presence of a Holy God, the kindness of well-chosen words, the generosity of spirit and soul.
My prayer is that what you've lost, and what I've lost this year, will fade a little bit in the beauty of this season, that for a few moments at least, what is right and good and worth believing will outshine all the darkness, within us and around us.
-- begin --
(1)
! MgAg3F (PBE, relaxed); values from VASP
&SYSTEM
  ibrav = 0, nat = 5, ntyp = 3
/
ATOMIC_SPECIES
Mg 24.30 Mg.upf
Ag 107.87 Ag.upf
F 19.00 F.upf
CELL_PARAMETERS angstrom
4.643 0.000 0.000
0.000 4.643 0.000
0.000 0.000 4.643
ATOMIC_POSITIONS crystal
Mg 0.000 0.000 0.000
Ag 0.000 0.500 0.500
Ag 0.500 0.000 0.500
Ag 0.500 0.500 0.000
F 0.500 0.500 0.500
! space group	Pm-3m
! raw total energy	-2.5224	eV per atom
! energy above the most stable polymorph in this dataset	0.000	eV/f.u.

(2)
! As4Os (PBE, relaxed); values from VASP
&SYSTEM
  ibrav = 0, nat = 5, ntyp = 2
/
ATOMIC_SPECIES
As 74.92 As.upf
Os 190.23 Os.upf
CELL_PARAMETERS angstrom
-2.569 2.569 3.758
2.569 -2.569 3.758
2.569 2.569 -3.758
ATOMIC_POSITIONS crystal
As 0.172 0.172 0.000
As 0.250 0.750 0.500
As 0.750 0.250 0.500
As 0.828 0.828 0.000
Os 0.500 0.500 0.000
! space group	I4/mmm
! raw total energy	-5.0489	eV per atom
! formation energy	0.9166	eV/atom
! energy above the most stable polymorph in this dataset	1.501	eV/f.u.

(3)
! CeU4P5 (PBE, relaxed); values from VASP
&SYSTEM
  ibrav = 0, nat = 10, ntyp = 3
/
ATOMIC_SPECIES
Ce 140.12 Ce.upf
U 238.03 U.upf
P 30.97 P.upf
CELL_PARAMETERS angstrom
-1.976 2.804 9.968
1.976 -2.804 9.968
1.976 2.804 -9.968
ATOMIC_POSITIONS crystal
Ce 0.000 0.000 0.000
U 0.202 0.202 0.000
U 0.400 0.400 0.000
U 0.600 0.600 0.000
U 0.798 0.798 0.000
P 0.104 0.604 0.500
P 0.301 0.801 0.500
P 0.500 0.000 0.500
P 0.699 0.199 0.500
P 0.896 0.396 0.500
! space group	Immm
! raw total energy	-8.8709	eV per atom
! formation energy	-1.0573	eV/atom

(4)
! BaMgCo2Cl8 (PBE, relaxed); values from VASP
&SYSTEM
  ibrav = 0, nat = 12, ntyp = 4
/
ATOMIC_SPECIES
Ba 137.33 Ba.upf
Mg 24.30 Mg.upf
Co 58.93 Co.upf
Cl 35.45 Cl.upf
CELL_PARAMETERS angstrom
6.339 0.000 0.000
-3.170 5.490 0.000
0.000 0.000 8.821
ATOMIC_POSITIONS crystal
Ba 0.000 0.000 0.000
Mg 0.000 0.000 0.500
Co 0.333 0.667 0.738
Co 0.667 0.333 0.262
Cl 0.000 0.309 0.678
Cl 0.000 0.691 0.322
Cl 0.309 0.310 0.322
Cl 0.310 0.000 0.678
Cl 0.333 0.667 0.992
Cl 0.667 0.333 0.008
Cl 0.690 0.000 0.322
Cl 0.691 0.690 0.678
! space group	P-3
! raw total energy	-4.0328	eV per atom

- Which of these has the highest raw total energy?
  MgAg3F

Copy entry 4 word for word.
! BaMgCo2Cl8 (PBE, relaxed); values from VASP
&SYSTEM
  ibrav = 0, nat = 12, ntyp = 4
/
ATOMIC_SPECIES
Ba 137.33 Ba.upf
Mg 24.30 Mg.upf
Co 58.93 Co.upf
Cl 35.45 Cl.upf
CELL_PARAMETERS angstrom
6.339 0.000 0.000
-3.170 5.490 0.000
0.000 0.000 8.821
ATOMIC_POSITIONS crystal
Ba 0.000 0.000 0.000
Mg 0.000 0.000 0.500
Co 0.333 0.667 0.738
Co 0.667 0.333 0.262
Cl 0.000 0.309 0.678
Cl 0.000 0.691 0.322
Cl 0.309 0.310 0.322
Cl 0.310 0.000 0.678
Cl 0.333 0.667 0.992
Cl 0.667 0.333 0.008
Cl 0.690 0.000 0.322
Cl 0.691 0.690 0.678
! space group	P-3
! raw total energy	-4.0328	eV per atom

- What is the raw total energy in the second record?
  -5.0489 eV per atom
-- stop --
May you find joy this season. Remember that every day you wake up, is a gift from God, and you get to determine how it goes. If yesterday was an awful day, how can you make tomorrow a more pleasant one? You can make changes. I am no expert on it, but I realized I was being a Scrooge, if you will, and I am making steps to change it. Even if Christmas is four days away. Better late, than never.
• Between two parts of the article: materials data:
~~~
P) # CsNdSm

A geometry-optimized CsNdSm structure (PBE, OQMD).

Cell: 5.6094 5.6094 5.6094 Å, 60.00 60.00 60.00°
With the nearest neighbours (Å) after each atom.
Atoms (fractional coordinates):
Cs  0.0000  0.0000  0.0000  4 Sm 3.44, 4 Nd 3.44
Nd  0.2500  0.2500  0.2500  4 Cs 3.44
Sm  0.7500  0.7500  0.7500  4 Cs 3.44

Properties
total magnetic moment	0.00	Bohr magnetons per cell
SG	F-43m

Q) # CsNdSm

A geometry-optimized CsNdSm structure (PBE, OQMD).

Cell: 6.1470 6.1470 6.1470 Å, 60.00 60.00 60.00°
With the nearest neighbours (Å) after each atom.
Atoms (fractional coordinates):
Cs  0.0000  0.0000  0.0000  4 Sm 3.76
Nd  0.5000  0.5000  0.5000  4 Sm 3.76
Sm  0.2500  0.2500  0.2500  4 Nd 3.76, 4 Cs 3.76

Properties
total magnetic moment	4.25	Bohr magnetons per cell
SG	F-43m

Each structure's energy above the most stable one, in kJ/mol of atoms: P) 0.0; Q) 2.9.

P) # CsNdU

A geometry-optimized CsNdU structure (PBE, OQMD).

Cell: 5.8353 5.8353 5.8353 Å, 60.00 60.00 60.00°
With the nearest neighbours (Å) after each atom.
Atoms (fractional coordinates):
Cs  0.0000  0.0000  0.0000  4 Nd 3.57
Nd  0.7500  0.7500  0.7500  4 U 3.57, 4 Cs 3.57
U  0.5000  0.5000  0.5000  4 Nd 3.57

Properties
total magnetic moment	6.28	Bohr magnetons per cell
SG	F-43m

Q) # CsNdU

A geometry-optimized CsNdU structure (PBE, OQMD).

Cell: 5.3922 5.3922 5.3922 Å, 60.00 60.00 60.00°
With the nearest neighbours (Å) after each atom.
Atoms (fractional coordinates):
Cs  0.0000  0.0000  0.0000  4 U 3.30, 4 Nd 3.30
Nd  0.2500  0.2500  0.2500  4 Cs 3.30
U  0.7500  0.7500  0.7500  4 Cs 3.30

Properties
total magnetic moment	3.52	Bohr magnetons per cell
SG	F-43m

Each structure's energy above the most stable one, in kJ/mol of atoms: P) 0.0; Q) 3.4.

P) # CsNi3

A geometry-optimized CsNi3 structure (PBE, OQMD).

Cell: 7.5411 7.5411 3.9900 Å, 90.00 90.00 119.96°
With the nearest neighbours (Å) after each atom.
Atoms (fractional coordinates):
Cs  0.1666  0.8334  0.7500  12 Ni 3.60-3.86, 2 Cs 3.99
Cs  0.8334  0.1666  0.2500  12 Ni 3.60-3.86, 2 Cs 3.99
Ni  0.2929  0.3966  0.7500  6 Ni 2.34-2.41
Ni  0.3966  0.2929  0.2500  6 Ni 2.34-2.41
Ni  0.3966  0.6034  0.2500  6 Ni 2.34-2.41
Ni  0.6034  0.3966  0.7500  6 Ni 2.34-2.41
Ni  0.6034  0.7071  0.7500  6 Ni 2.34-2.41
Ni  0.7071  0.6034  0.2500  6 Ni 2.34-2.41

Properties
total magnetic moment	3.95	Bohr magnetons per cell
SG	Cmcm

Q) # CsNi3

A geometry-optimized CsNi3 structure (PBE, OQMD).

Cell: 4.5420 4.5420 4.5420 Å, 60.00 60.00 60.00°
With the nearest neighbours (Å) after each atom.
Atoms (fractional coordinates):
Cs  0.0000  0.0000  0.0000  8 Ni 2.78
Ni  0.2500  0.2500  0.2500  4 Ni 2.78, 4 Cs 2.78
Ni  0.5000  0.5000  0.5000  8 Ni 2.78
Ni  0.7500  0.7500  0.7500  4 Ni 2.78, 4 Cs 2.78

Properties
total magnetic moment	0.40	Bohr magnetons per cell
SG	Fm-3m

R) # CsNi3

A geometry-optimized CsNi3 structure (PBE, OQMD).

Cell: 4.9661 4.9661 4.9661 Å, 132.53 132.53 69.39°
With the nearest neighbours (Å) after each atom.
~~~
• Here the article continues:
Merry Christmas, friends.
ReplyDeleteif you like Shauna you should check out here husband, Aaron's music. He's a worship pastor. Both of them grew up at willow creek and a awesome people.
Matt Lewis?
I've noticed she mentions that a few times in her book, I will check him out!